What instant messenger do you use

AIM. I think this should be the standard. Whenever I see someone who's providing a service (SEO, design, etc.) and they only have MSN, Yahoo Messenger, or whatever but no AIM, that's usually enough for me not to work with them. Take note, I'm not the only one that feels that way.

Huh? AIM? Really? I'd say skype..
wtf is so special about AIM you guys??

_Crystal structures, as found in the file_
~~~
The following is a PBE calculation of a relaxed MnSn crystal, from the Materials Project.

abc: 3.8860 3.8860 3.8860
angles: 60.00 60.00 60.00
Element x y z (fractional)
Mn: 0.0000 0.0000 0.0000
Sn: 0.5000 0.5000 0.5000

## Properties
Calculated formation energy, kcal/mol of atoms: 7.51
Space-group type: Fm-3m, No. 225
Density, g/cm3: 6.949
M_tot, μB per cell: 3.09

=====

The following is a PBE calculation of a relaxed Nb3Os crystal, from the Materials Project.

abc: 4.5852 4.5852 4.5852
angles: 60.00 60.00 60.00
Element x y z (fractional)
Nb: 0.2500 0.2500 0.2500
Nb: 0.7500 0.7500 0.7500
Nb: 0.5000 0.5000 0.5000
Os: 0.0000 0.0000 0.0000

## Properties
Calculated formation energy, kcal/mol of atoms: -5.38
Space-group type: Fm-3m, No. 225
Density, g/cm3: 11.424

=====

The following is a PBE calculation of a relaxed InFeCu2Se4 crystal, from the Materials Project.

abc: 6.9834 6.9834 6.9834
angles: 131.62 131.62 70.83
Element x y z (fractional)
In: 0.5000 0.5000 0.0000
Fe: 0.0000 0.0000 0.0000
Cu: 0.2500 0.7500 0.5000
Cu: 0.7500 0.2500 0.5000
Se: 0.0994 0.0994 0.4642
Se: 0.6352 0.6352 0.5358
Se: 0.9006 0.3648 0.0000
Se: 0.3648 0.9006 0.0000

## Properties
E (MP2020), eV/atom: -4.7069
Calculated formation energy, kcal/mol of atoms: -12.25
Space-group type: I-42m, No. 121
Density, g/cm3: 5.466
M_tot, μB per cell: 4.29

=====

The following is a PBE calculation of a relaxed Ca3P4H20N2O20 crystal, from the Materials Project.

abc: 11.5920 7.7247 13.2475
angles: 56.12 90.00 90.00
Element x y z (fractional)
Ca: 0.5000 0.0000 0.5000
Ca: 0.0000 0.0000 0.0000
Ca: 0.7760 0.3090 0.5781
Ca: 0.7240 0.3090 0.0781
Ca: 0.2240 0.6910 0.4219
Ca: 0.2760 0.6910 0.9219
P: 0.7531 0.2573 0.8616
P: 0.7469 0.2573 0.3616
P: 0.2469 0.7427 0.1384
P: 0.2531 0.7427 0.6384
P: 0.7809 0.8581 0.8733
P: 0.7191 0.8581 0.3733
P: 0.2191 0.1419 0.1267
P: 0.2809 0.1419 0.6267
H: 0.8405 0.8182 0.2138
H: 0.6595 0.8182 0.7138
H: 0.1595 0.1818 0.7862
H: 0.3405 0.1818 0.2862
H: 0.8947 0.6010 0.2561
H: 0.6053 0.6010 0.7561
H: 0.1053 0.3990 0.7439
H: 0.3947 0.3990 0.2439
H: 0.9866 0.2761 0.1161
H: 0.5134 0.2761 0.6161
H: 0.0134 0.7239 0.8839
H: 0.4866 0.7239 0.3839
H: 0.9391 0.4950 0.0808
H: 0.5609 0.4950 0.5808
H: 0.0609 0.5050 0.9192
H: 0.4391 0.5050 0.4192
H: 0.5021 0.2422 0.1904
H: 0.9979 0.2422 0.6904
H: 0.4979 0.7578 0.8096
H: 0.0021 0.7578 0.3096
H: 0.4517 0.2994 0.0683
H: 0.0483 0.2994 0.5683
H: 0.5483 0.7006 0.9317
H: 0.9517 0.7006 0.4317
H: 0.6143 0.8486 0.1674
H: 0.8857 0.8486 0.6674
H: 0.3857 0.1514 0.8326
H: 0.1143 0.1514 0.3326
H: 0.4978 0.7528 0.1296
H: 0.0022 0.7528 0.6296
H: 0.5022 0.2472 0.8704
H: 0.9978 0.2472 0.3704
H: 0.6283 0.6315 0.1665
H: 0.8717 0.6315 0.6665
H: 0.3717 0.3685 0.8335
H: 0.1283 0.3685 0.3335
H: 0.6145 0.8637 0.0359
H: 0.8855 0.8637 0.5359
H: 0.3855 0.1363 0.9641
H: 0.1145 0.1363 0.4641
N: 0.5869 0.7765 0.1251
N: 0.9131 0.7765 0.6251
N: 0.4131 0.2235 0.8749
N: 0.0869 0.2235 0.3749
O: 0.8028 0.3826 0.7334
O: 0.6972 0.3826 0.2334
O: 0.1972 0.6174 0.2666
~~~
_The entry goes on_

AIM, Skype, MSN, etc. all get in the way of actually doing work. There's a place for instant messaging, but I find having them available during the time I'm trying to get shit done makes for a lot of wasted time.
Pidgin - AIM & MSN. Seems like AIM is really popular in the affiliate space for whatever reason. Almost every affiliate contact I have is on AIM.
AIM. I think this should be the standard. Whenever I see someone who's providing a service (SEO, design, etc.) and they only have MSN, Yahoo Messenger, or whatever but no AIM, that's usually enough for me not to work with them. Take note, I'm not the only one that feels that way.

AIM is pure shit. I vote the entire industry (or the entire world? idc) moves to Skype.
AIM is pure shit. I vote the entire industry (or the entire world? idc) moves to Skype.

You obviously haven't run into the message not sending bug in Skype. If the industry moved to it, business would collapse. It's a terrible application.
You obviously haven't run into the message not sending bug in Skype. If the industry moved to it, business would collapse. It's a terrible application.

LoL. It's a brilliant application. I've used it for years and never heard of or experienced this bug you speak of. I'm going to guess if such a bug existed it's long been squashed. If it was such a terrible application wrought with bugs I doubt 20.9 million people would be logged on using it at this very moment. When was the last time you tried it?

Half the industry is already on it BTW, just some stubborn hold outs are slowing up progress. We conference on it almost daily with a larger number of people from WF, from Europe, and the east coast and west coast of the US, on open mic all at the same time.

Outside of AM, everyone I know in business uses it and have for years. Nothing like popping on your headset and hearing 5 or 6 other people all at the same time, all crystal clear. The Swedes I worked with live on it. The entire dev team at my last place of work was on it constantly talking to their counterparts in other offices in Sweden and Singapore. Its voip capabilities are unrivaled.

Also, none of the other apps mentioned come close to matching Skype's refined interface.
AIM, Skype, MSN, Yahoo and Gtalk. I have used Digsby but I prefer to have all them running separately.
AIM is fine as most people use it, and you need to be available for your clients.

My only gripe with AIM is that it needs to be on its own PC. Or on a little used PC. As popup windows always get in the way. Ever be in email and you're typing something and the AIM window pops up and you've written 3-4 words into AIM? Ever hit ENTER not even realizing it, and you're sending a client "I'll be home for dinner at 5, love you"?

**These data records were left in the page by mistake:**
____________
1.
Computed, not measured: crystalline K2CeCu2S4 at its relaxed geometry at the PBE level of DFT.

The structure belongs to space group C2/m (No. 12); the cell edges are 14.465, 3.995 and 7.554 Å and the angles 90.00°, 109.94° and 90.00°. Symmetry generates all atoms from K at (0.137, 0.000, 0.063), Ce at (0.000, 0.000, 0.500), Cu at (0.179, 0.500, 0.486), S at (0.021, 0.500, 0.265) and S at (0.201, 0.000, 0.672).

The energy is -87.20 eV per cell. Its total moment is 0.001 μB per formula unit. For the calculated formation energy, the calculation gives -12.71 eV/f.u.



2.
Computed, not measured: crystalline KCe2CuSe6 at its relaxed geometry at the PBE level of DFT.

The structure belongs to space group Fddd (No. 70, origin choice 2); the cell edges are 8.265, 11.571 and 44.452 Å and the angles 90.00°, 90.00° and 90.00°. Symmetry generates all atoms from K at (0.123, 0.375, 0.375), Ce at (0.125, 0.125, 0.287), Ce at (0.125, 0.125, 0.463), Cu at (0.125, 0.125, 0.538), Se at (0.124, 0.272, 0.576), Se at (0.124, 0.373, 0.989) and Se at (0.125, 0.014, 0.071).

The energy is -804.43 eV per cell. Its total moment is 0.004 μB per formula unit. For the calculated formation energy, the calculation gives -15.06 eV/f.u.

* * * * *

(1)
{
  "formula": "Nb5B6",
  "functional": "PBE-GGA",
  "state": "optimized geometry",
  "volume_a3_per_cell": 121,
  "space_group": "Cmmm, No. 65",
  "ef_mev_per_atom": -766,
  "lattice": [[1.5840, -11.4641, 0.0000], [1.5840, 11.4641, 0.0000], [0.0000, 0.0000, 3.3203]],
  "species": ["Nb", "Nb", "Nb", "Nb", "Nb", "B", "B", "B", "B", "B", "B"],
  "frac_coords": [[0.0000, 0.0000, 0.0000], [0.1943, 0.8057, 0.5000], [0.3858, 0.6142, 0.0000], [0.6142, 0.3858, 0.0000], [0.8057, 0.1943, 0.5000], [0.0816, 0.9184, 0.5000], [0.2722, 0.7278, 0.0000], [0.4602, 0.5398, 0.5000], [0.5398, 0.4602, 0.5000], [0.7278, 0.2722, 0.0000], [0.9184, 0.0816, 0.5000]]
}


(2)
{
  "formula": "Na2Y4Ta4Si5S7O48",
  "functional": "PBE-GGA",
  "state": "optimized geometry",
  "volume_a3_per_cell": 3342,
  "m_tot_mub_per_cell": 0.0,
  "space_group": "P1, No. 1",
  "ef_mev_per_atom": -2771,
  "lattice": [[9.0570, 0.0000, 0.0000], [0.0337, 15.6295, 0.0000], [0.0318, 0.0052, 23.6071]],
____________


Not saying I did that, just asking.

What's just as bad is when you're talking to your girlfriend, and then a family member IMs you, and you type a sentence and hit enter to the wrong person. Ugh.